........
This record from the Alexandria database describes Te2PdBr after structural relaxation. The functional is PBE.

```
Te2PdBr
1.0
8.0402 0.0000 0.0000
0.0000 3.9407 0.0000
0.0000 0.0000 15.6974
Te Pd Br
8 4 4
direct
0.2293 0.2500 0.1840
0.2404 0.2500 0.5463
0.2596 0.7500 0.0463
0.2707 0.7500 0.6840
0.7293 0.2500 0.3160
0.7404 0.2500 0.9537
0.7596 0.7500 0.4537
0.7707 0.7500 0.8160
0.0101 0.7500 0.5767
0.4899 0.2500 0.0767
0.5101 0.7500 0.9233
0.9899 0.2500 0.4233
0.1991 0.7500 0.3529
0.3009 0.2500 0.8529
0.6991 0.7500 0.1471
0.8009 0.2500 0.6471
```

Values from the calculation:
Spin magnetization: 0.000 μB/f.u.
Electronic total energy: -3.45 eV/atom

=====

Record 1
A plane-wave DFT calculation with PBE was carried out for an optimized crystal structure of RbFeH2Cl8.

Computed properties:
- total DFT energy (no corrections) (eV per atom) = -3.29

abc: 6.6758 6.7569 8.5252
angles: 82.68 80.46 61.32
Closest atoms and distances in Å follow each position.
Space group P-1 (No. 2)
Unique sites:
Rb 0.0000 0.0000 0.0000 [1 per cell]  8 Cl 3.47-3.87, 2 H 3.62
Fe 0.0000 0.0000 0.5000 [1 per cell]  6 Cl 2.22-2.30
H 0.1875 0.3256 0.1856 [2 per cell]  1 Cl 1.32
Cl 0.0995 0.6842 0.6711 [2 per cell]  1 H 2.12, 1 Fe 2.30
Cl 0.2102 0.0997 0.6151 [2 per cell]  1 Fe 2.22
Cl 0.3054 0.8051 0.3294 [2 per cell]  1 Fe 2.22
Cl 0.3235 0.3485 0.0610 [2 per cell]  1 H 1.32

=====

Record 2
A plane-wave DFT calculation with PBE was carried out for an optimized crystal structure of BaLaPtI2.

Computed properties:
- E_form (uncorrected) (eV/atom) = -0.93

abc: 6.2657 6.2657 5.3370
angles: 90.00 90.00 90.00
Closest atoms and distances in Å follow each position.
Space group P4/mmm (No. 123)
Unique sites:
Ba 0.0000 0.0000 0.0000 [1 per cell]  8 I 4.12, 4 Pt 4.43
La 0.5000 0.5000 0.5000 [1 per cell]  2 Pt 2.67
Pt 0.5000 0.5000 0.0000 [1 per cell]  2 La 2.67
I 0.0000 0.5000 0.5000 [2 per cell]  2 La 3.13

=====

Record 3
A plane-wave DFT calculation with PBE was carried out for an optimized crystal structure of Cs3YNp3S8.

Computed properties:
- E_form (uncorrected) (eV/atom) = -1.51

abc: 8.1628 8.1628 24.4837
angles: 90.00 90.00 120.00
Closest atoms and distances in Å follow each position.
Space group R-3m (No. 166, hexagonal axes)
Unique sites:
Cs 0.0000 0.5000 0.0000 [9 per cell]  6 S 3.54
Y 0.0000 0.0000 0.5000 [3 per cell]  6 S 2.77
Np 0.0000 0.5000 0.5000 [9 per cell]  6 S 2.76
S 0.0000 0.0000 0.2256 [6 per cell]  3 Np 2.76
S 0.0017 0.5008 0.7744 [18 per cell]  2 Np 2.76, 1 Y 2.77

=====

Record 4
........
Transcribe the lines earlier on up to the one that holds "RbFeH2Cl8.", that line included.
This record from the Alexandria database describes Te2PdBr after structural relaxation. The functional is PBE.

```
Te2PdBr
1.0
8.0402 0.0000 0.0000
0.0000 3.9407 0.0000
0.0000 0.0000 15.6974
Te Pd Br
8 4 4
direct
0.2293 0.2500 0.1840
0.2404 0.2500 0.5463
0.2596 0.7500 0.0463
0.2707 0.7500 0.6840
0.7293 0.2500 0.3160
0.7404 0.2500 0.9537
0.7596 0.7500 0.4537
0.7707 0.7500 0.8160
0.0101 0.7500 0.5767
0.4899 0.2500 0.0767
0.5101 0.7500 0.9233
0.9899 0.2500 0.4233
0.1991 0.7500 0.3529
0.3009 0.2500 0.8529
0.6991 0.7500 0.1471
0.8009 0.2500 0.6471
```

Values from the calculation:
Spin magnetization: 0.000 μB/f.u.
Electronic total energy: -3.45 eV/atom

=====

Record 1
A plane-wave DFT calculation with PBE was carried out for an optimized crystal structure of RbFeH2Cl8.